I do not want error messages (for example 30x HTTP errors) to be shown to every user. I need only certain users/roles to be able to see them. Can you please consider adding a permission setting for this?


alex_b’s picture

I'd rather improve error messages than suppress them - I assume when this error occurs something actually went wrong on the UI and the user needs feedback on 'what happened?' and some idea of 'what's can I do?'

Can you explain better which errors you don't want to show in their existing form to your users?

klonos’s picture

Actually there are also some 503 errors my users are getting, like so:

Download of http://some.site.com/some_file.xml failed with code 503.

This might be happening due to server traffic overload or some other reason and it might be a minor temporary issue. Anyhow, I do not want site visitors to be getting these errors because they might think something is seriously wrong with the site and never come back. I would love to have these errors logged someplace for the admin to see, but I don't want them shown to the visitors.

alex_b’s picture

On which occasion are these errors occurring?

klonos’s picture

They happen on random pages refreshes/loads. It might be in the admin pages or simply viewing the home page or content. I'll try and monitor to see if it happens only in certain of them, but I doubt it.

klonos’s picture

As a side note here I'd like to add that even browsing directly the xml from the source url throughs this 'Service Unavailable' error sometimes. So when I am referring to server load I don't mean the one hosting my drupal site, but the site providing the feed.

In case of success I get a green 'Success... 3 nodes were updated' or something. I don't need that displayed to users either.

klonos’s picture

some love on this?

alex_b’s picture

Well, we need to talk on *very* concrete terms here to move forward...

klonos’s picture

Hi alex_b, if you are joking because I talked about 'love' than... lol.

If you are seriously asking a question, I am going to have to ask you to define what are '*very* concrete terms' to you? I already explained that I have a very serious reason for requesting this feature and it is an actual use case... I do not want site visitors to be getting these errors because they might think something is seriously wrong with the site and never come back.

Plus another one... the people that I build this site for are asking questions about it and no matter how much I've explained the reasons these warnings show, they still think 'it looks ugly' and want them removed.

I could hack something by commending out the lines that display these warnings in the module, but this way if warnings persist I (or whichever admin) wouldn't know something is going wrong. So, what I propose is either have these warnings displayed only to specific users and/or roles by using proper permissions, or have them not be displayed in every page but only logged and displayed later only in admin pages (say the status page). Are you or anyone else thinking of any other approach to this issue?

I think all the above are legit reasons. Thank you in advance for (re)considering this.

klonos’s picture

Title: Permission for showing failure/error messages » Permission for showing failure/error + import success & deletion messages

Actually my needs have changed a bit. Now I also need to suppress successful node creation/deletion messages as well.

I want them shown only for the admin account or selected user roles and not to regular site visitors. Is this possible?

alex_b’s picture

#7 - sorry: with concrete terms I meant which messages should be changed to what for which users.

Again: I am very aware that most messages in Feeds aren't streamlined. I'd love to work on improving them rather than just supporessing them.

That said - do you want to really kill *all* messages whatsoever? I could imagine adding a global killswitch for messages from Feeds. This could be done by using a wrapper feeds_set_message() instead of drupal_set_message() and then adding a killswitch into the wrapper function:

function feeds_set_message() {
  if (variable_get('feeds_show_messages', TRUE)) {

If you need a quick fix for making your clients happy you can extend the processor and run:

function process() {

I continue to be open to improve messaging.

klonos’s picture

with concrete terms I meant which messages should be changed to what for which users.

well... it depends on use cases and I am sure that if I propose something, someone will step up and argue/propose something else.

There's only one way to satisfy all needs and that's by providing permissions per message type (error/success/deleted) per user role. Till this is implemented (lots of time and effort needed, so I guess it will take a looong time), I'd settle for a single permission to show all Feeds-related warnings or not. I am sure that somewhere in the code where messages are to be spat out to the user there could be an if statement that checks for this single permission. At least a hard-coded check for uid=1 (that's the admin, right?) if that's not too much to ask.

I had some visitors the last days that were 'bombarded' with 100s of 'node import' and 'node deleted' messages and had to scroll all the way down till they actually were able to see some true site content :(

Please explain when time permits where the code you mention in your reply should go.

Thank you in advance.

A 12-piece molecular cluster, C6H38N2O11 overall in a non-equilibrium geometry. Source: OMol25; level of theory: ωB97M-V with the def2-TZVPD basis set.

Structure (XYZ):
```
57
Properties=species:S:1:pos:R:3:forces:R:3:nbo_charge:R:1
C 2.1971 -2.6913 0.8715 1.31 -0.77 2.09 -0.62
C 0.9763 -1.8913 0.3528 0.62 -0.10 0.91 -0.28
C -0.2599 -2.5708 0.8696 -2.76 0.78 -0.38 -0.64
C 0.9749 -1.8142 -1.1549 2.12 -1.24 -1.91 -0.21
N 1.0804 -0.4864 -1.7012 1.24 1.29 -0.65 -0.69
C 2.5255 -0.0254 -1.8936 -0.28 -2.25 1.04 -0.22
C 2.6338 1.5168 -1.8393 0.84 -1.88 -0.60 -0.26
N 1.7599 1.9383 -0.7825 -1.33 1.97 0.30 -0.89
H 2.7511 -3.1483 0.0486 -0.14 -0.21 0.18 0.21
H 2.9989 -2.1542 1.4735 -0.96 0.09 -0.95 0.21
H 1.9317 -3.5068 1.6408 0.06 0.95 -1.40 0.20
H 1.0889 -0.8465 0.7431 -0.49 -0.69 -0.52 0.19
H -0.1033 -3.6468 1.0102 -0.15 0.37 0.43 0.21
H -0.7267 -2.0056 1.7071 0.80 -1.16 0.11 0.25
H -1.1071 -2.4930 0.1306 0.87 -0.17 0.25 0.21
H 0.2575 -2.3964 -1.7686 -0.32 0.42 1.25 0.23
H 1.9171 -2.3694 -1.4373 -0.66 0.83 -0.23 0.18
H 0.5073 0.1893 -1.1943 0.54 -0.47 0.23 0.38
H 2.7756 -0.5474 -2.8587 0.32 1.04 0.72 0.20
H 3.2528 -0.5054 -1.0912 -1.50 0.87 -1.16 0.16
H 3.6232 1.7844 -1.4805 0.36 -0.08 -0.43 0.20
H 2.5763 1.7971 -2.9179 -0.63 0.96 0.86 0.18
H 0.7784 2.0975 -1.0829 1.02 0.14 0.60 0.38
H 2.1352 2.7186 -0.1946 -0.82 -0.80 -1.16 0.40
O -1.4131 -1.2835 -2.7142 -0.21 -0.07 -0.30 -0.94
H -2.0221 -1.8984 -3.1127 -0.43 -0.62 0.05 0.46
H -1.2134 -0.7346 -3.4659 0.41 0.46 -0.56 0.48
O -3.0749 -1.0254 -0.7905 -0.36 -0.80 -0.36 -0.97
H -3.5357 -1.1103 0.0518 -0.24 0.11 0.06 0.51
H -3.5900 -1.4739 -1.4729 0.10 0.10 0.35 0.48
O -2.3920 -0.4385 1.7179 -0.20 -1.18 1.48 -0.98
H -1.8630 -0.5700 0.9368 -0.09 0.95 -0.40 0.49
H -2.9003 0.3684 1.7633 0.29 0.46 -0.77 0.50
O 1.0287 -1.0871 3.2535 0.19 0.72 -0.31 -0.95
H 1.5555 -0.9122 2.4544 -0.13 -0.21 0.66 0.48
H 1.2880 -1.9518 3.5615 0.22 -0.36 0.09 0.48
O -0.3530 1.1073 -4.0360 0.35 0.27 0.87 -0.95
H 0.2618 1.8080 -3.7974 0.11 0.68 -0.93 0.46
H -0.2355 0.6804 -3.1732 -0.22 -0.86 0.11 0.48
O 3.1226 1.1513 1.4807 0.98 0.06 2.38 -0.97
H 2.3562 1.0291 0.9522 -0.64 -0.02 -1.59 0.49
H 3.9351 1.1947 0.9839 -0.14 -0.17 -0.57 0.47
O -0.0582 2.9912 2.3798 -0.29 0.29 -0.39 -0.94
H 0.2877 2.1328 2.5966 0.17 -0.79 -0.01 0.48
H 0.3679 3.5513 3.0192 0.26 0.51 0.41 0.47
O -1.5690 1.1161 -0.7102 1.17 0.86 -0.23 -1.01
H -2.2659 1.7819 -0.8470 0.14 -1.57 -0.09 0.46
H -1.8075 0.2238 -1.0197 -0.82 0.37 -0.28 0.53
O -1.3526 -0.4133 4.5997 -0.42 1.48 0.32 -0.94
H -1.2757 0.4709 4.1907 -0.34 -0.41 0.60 0.46
H -0.8978 -0.8956 3.9277 0.57 -0.96 -0.68 0.48
O -4.5347 1.1927 -0.2697 1.28 1.00 -1.97 -0.94
H -4.3811 2.0547 0.1400 -0.22 0.06 0.33 0.48
H -3.9789 1.3190 -1.1149 -1.61 -0.81 1.82 0.46
O -2.3737 3.3958 0.4962 1.21 -0.07 -1.74 -0.95
H -1.7367 3.0814 -0.2185 -0.89 0.77 1.81 0.46
H -1.9238 4.2010 0.7868 -0.25 -0.15 0.26 0.48
```
Forces are in eV/Å.
# Back to the piece

klonos’s picture

I realized just now that a hard-coded check for uid=1 is limiting other people's options. This means people that actually want all messages shown to all users.

How about a quick option... something like a 'Show Feeds-related messages only for the admin account' checkbox in module's settings?

alex_b’s picture

#11: feeds_set_message() should go into feeds.module, every use of drupal_set_message() that is user facing (e. g. not the ones in feeds_ui module) should be replaced with feeds_set_message().

klonos’s picture

Still trying to work this one out...

@Alex: if this is a quick one for you, please advice...

As it is now we get a message with the total of nodes created, but for deletion (expired items) we get one message per deleted feed item. I've located the code that needs to be changed. It sits right at the very end of the FeedsNodeProcessor.inc file. Now, since I don't want to display the title of each feed item node that was deleted, I altered the code like so:

  watchdog('content', '@type: deleted %title.', array('@type' => $node->type, '%title' => $node->title));
  //drupal_set_message(t('@type %title has been deleted.', array('@type' => node_get_types('name', $node), '%title' => $node->title)));
  drupal_set_message(t('Deleted expired feed items'));

This got me 1/4 of the way, because now I still get the same message repeated as many times as deletions occurred. I need to have this message displayed only once though.

Now I get:

# Created 3 News Feed item node.
# Created 25 News Feed item nodes.
# Deleted expired feed items
# Deleted expired feed items
# Deleted expired feed items
# Deleted expired feed items
# Deleted expired feed items
... and so on.

While I need it to be:

# Created 3 News Feed item node.
# Created 25 News Feed item nodes.
# Deleted 13 expired feed items
# Deleted 4 expired feed items

I would also love this to be per target node too (case of multiple importers targeting same feed item node). So the above case would be like so:

# Created 28 News Feed item nodes.
# Deleted 17 expired feed items

Around line 88 in the same file there's:

    // Set messages.
    if ($batch->created) {
      drupal_set_message(format_plural($batch->created, 'Created @number @type node.', 'Created @number @type nodes.', array('@number' => $batch->created, '@type' => node_get_types('name', $this->config['content_type']))));
    elseif ($batch->updated) {
      drupal_set_message(format_plural($batch->updated, 'Updated @number @type node.', 'Updated @number @type nodes.', array('@number' => $batch->updated, '@type' => node_get_types('name', $this->config['content_type']))));
    else {
      drupal_set_message(t('There is no new content.'));

...but I thing there is no such thing as $batch->deleted implemented (yet). If it was, the above code would simply change to include an elseif for deleted items:

    elseif ($batch->deleted) {
      drupal_set_message(format_plural($batch->deleted, 'Deleted @number @type node.', 'Deleted @number @type nodes.', array('@number' => $batch->deleted, '@type' => node_get_types('name', $this->config['content_type']))));

Can we please has it?

alex_b’s picture

Can we please has it?

Yes, go for it.

klonos’s picture

...any pointers to the right direction please?

alex_b’s picture

#16 Read FeedsBatch and FeedsImportBatch - should be straightforward to implement.

alex_b’s picture

Status: Active » Closed (won't fix)

Closing after prolonged period of inactivity.

klonos’s picture

Fair enough Alex.

It seems that my skills are not enough yet to get something coded. After all, taking a look at this issue I find only you and me talking about this and saw no interest from enyone else. It stikes me kinda odd though that nobody else has a problem with messages such as these thrown at their site visitors. I mean, they serve no purpose to site visitors since only site admins can benefit from them.

I'll let this to someone else. If they find this feature request useful, they can either code something if they can or change the status to something like postponed I guess.

Hanno’s picture

@kionos do you probably use poormanscron as cron? This module shows messages to anonymous users, see #867054: Suppress status messages to anonymous users when using poormanscron

klonos’s picture

I actually do Hanno. I wasn't aware of this situation and the issue you link to. Thanx.

Hanno’s picture

You can use Poormanscron 6.1 instead of the latest branch. The 6.1 version suppress the messages. Not clear why they removed this feature in the new 6.2 branch (backport from 7). See also the issue in poormanscron #902368: Suppress status messages to anonymous users

klonos’s picture

...or we can push for an actual fix instead of using old versions/branches ;)